Could you print everything further below word for word?

/*
ErGaCo: optimized geometry, PBE.

Structure (POSCAR):
```
ErGaCo
1.0
6.672 0.000 0.000
0.000 4.081 0.000
0.000 0.000 7.629
Er Ga Co
4 4 4
direct
0.027 0.250 0.184
0.473 0.750 0.684
0.527 0.250 0.316
0.973 0.750 0.816
0.153 0.250 0.564
0.347 0.750 0.064
0.653 0.250 0.936
0.847 0.750 0.436
0.229 0.750 0.381
0.271 0.250 0.881
0.729 0.750 0.119
0.771 0.250 0.619
```

- calculated volume (Å³/f.u.) = 51.9
- VASP energy (eV/atom) = -5.40
- crystal system = orthorhombic
- symmetry = Pnma, No. 62

---

ErGa2Co3: optimized geometry, PBE.

Structure (POSCAR):
```
ErGa2Co3
1.0
8.928 0.000 0.000
-4.464 7.731 0.000
0.000 0.000 3.837
Er Ga Co
3 6 9
direct
0.000 0.000 0.000
0.333 0.667 0.500
0.667 0.333 0.500
0.000 0.315 0.500
0.000 0.685 0.500
0.315 0.000 0.500
0.315 0.315 0.500
0.685 0.000 0.500
0.685 0.685 0.500
0.000 0.500 0.000
0.183 0.366 0.000
0.183 0.817 0.000
0.366 0.183 0.000
0.500 0.000 0.000
0.500 0.500 0.000
0.634 0.817 0.000
0.817 0.183 0.000
0.817 0.634 0.000
```

- calculated volume (Å³/f.u.) = 88.3
- VASP energy (eV/atom) = -5.71
- crystal system = hexagonal
- symmetry = P6/mmm, No. 191

---

Er3GaCoS7: optimized geometry, PBE.

Structure (POSCAR):
```
Er3GaCoS7
1.0
9.478 0.000 0.000
-4.739 8.208 0.000
0.000 0.000 6.121
Er Ga Co S
6 2 2 14
direct
0.155 0.373 0.000
0.218 0.845 0.000
0.373 0.218 0.500
0.627 0.782 0.000
0.782 0.155 0.500
0.845 0.627 0.500
0.333 0.667 0.428
0.667 0.333 0.928
0.000 0.000 0.333
0.000 0.000 0.833
0.084 0.566 0.268
0.097 0.226 0.591
0.128 0.903 0.591
0.226 0.128 0.091
0.333 0.667 0.796
0.434 0.518 0.268
0.482 0.916 0.268
0.518 0.084 0.768
0.566 0.482 0.768
0.667 0.333 0.296
0.774 0.872 0.591
0.872 0.097 0.091
0.903 0.774 0.091
0.916 0.434 0.768
```

- calculated volume (Å³/f.u.) = 238.1
- VASP energy (eV/atom) = -5.85
- crystal system = hexagonal
- symmetry = P6_3, No. 173

---

Er2Co3Ge5: optimized geometry, PBE.

Structure (POSCAR):
```
Er2Co3Ge5
1.0
5.496 -5.873 0.000
5.496 5.873 0.000
-2.775 0.000 4.968
Er Co Ge
4 6 10
direct
0.091 0.373 0.232
0.373 0.091 0.732
0.627 0.909 0.268
0.909 0.627 0.768
0.044 0.761 0.380
0.239 0.956 0.120
0.497 0.503 0.250
0.503 0.497 0.750
0.761 0.044 0.880
0.956 0.239 0.620
0.009 0.991 0.750
0.238 0.419 0.826
0.274 0.726 0.750
0.287 0.713 0.250
0.419 0.238 0.326
0.581 0.762 0.674
0.713 0.287 0.750
0.726 0.274 0.250
0.762 0.581 0.174
0.991 0.009 0.250
```

- calculated volume (Å³/f.u.) = 160.4
- VASP energy (eV/atom) = -5.93
- crystal system = monoclinic
- symmetry = C2/c, No. 15

---

Er2CoGe2: optimized geometry, PBE.

Structure (POSCAR):
```
Er2CoGe2
1.0
5.193 -2.088 0.000
5.193 2.088 0.000
-4.749 0.000 8.897
Er Co Ge
4 2 4
direct
0.006 0.006 0.332
0.187 0.187 0.111
0.813 0.813 0.889
0.994 0.994 0.668
0.275 0.275 0.641
0.725 0.725 0.359
0.348 0.348 0.434
0.487 0.487 0.125
0.513 0.513 0.875
0.652 0.652 0.566
```

- calculated volume (Å³/f.u.) = 96.5
- VASP energy (eV/atom) = -5.85
- crystal system = monoclinic
- symmetry = C2/m, No. 12

---

ErCoGe: optimized geometry, PBE.

Structure (POSCAR):
```
ErCoGe
1.0
6.809 0.000 0.000
0.000 4.205 0.000
0.000 0.000 7.209
Er Co Ge
4 4 4
direct
0.008 0.250 0.198
0.492 0.750 0.698
0.508 0.250 0.302
0.992 0.750 0.802
0.167 0.750 0.427
0.333 0.250 0.927
0.667 0.750 0.073
0.833 0.250 0.573
0.200 0.250 0.599
0.300 0.750 0.099
0.700 0.250 0.901
0.800 0.750 0.401
```

- calculated volume (Å³/f.u.) = 51.6
- VASP energy (eV/atom) = -6.11
- crystal system = orthorhombic
- symmetry = Pnma, No. 62

---

ErCo4Ge2: optimized geometry, PBE.

Structure (POSCAR):
```
ErCo4Ge2
1.0
7.220 0.000 0.000
0.000 7.220 0.000
0.000 0.000 3.705
Er Co Ge
2 8 4
direct
0.000 0.000 0.000
0.500 0.500 0.500
0.082 0.354 0.500
0.146 0.582 0.000
0.354 0.082 0.500
0.418 0.854 0.000
0.582 0.146 0.000
0.646 0.918 0.500
0.854 0.418 0.000
0.918 0.646 0.500
0.221 0.779 0.500
0.279 0.279 0.000
0.721 0.721 0.000
0.779 0.221 0.500
```

- calculated volume (Å³/f.u.) = 96.6
- VASP energy (eV/atom) = -6.43
- crystal system = tetragonal
- symmetry = P4_2/mnm, No. 136

---
*/

ErGaCo: optimized geometry, PBE.

Structure (POSCAR):
```
ErGaCo
1.0
6.672 0.000 0.000
0.000 4.081 0.000
0.000 0.000 7.629
Er Ga Co
4 4 4
direct
0.027 0.250 0.184
0.473 0.750 0.684
0.527 0.250 0.316
0.973 0.750 0.816
0.153 0.250 0.564
0.347 0.750 0.064
0.653 0.250 0.936
0.847 0.750 0.436
0.229 0.750 0.381
0.271 0.250 0.881
0.729 0.750 0.119
0.771 0.250 0.619
```

- calculated volume (Å³/f.u.) = 51.9
- VASP energy (eV/atom) = -5.40
- crystal system = orthorhombic
- symmetry = Pnma, No. 62

---

ErGa2Co3: optimized geometry, PBE.

Structure (POSCAR):
```
ErGa2Co3
1.0
8.928 0.000 0.000
-4.464 7.731 0.000
0.000 0.000 3.837
Er Ga Co
3 6 9
direct
0.000 0.000 0.000
0.333 0.667 0.500
0.667 0.333 0.500
0.000 0.315 0.500
0.000 0.685 0.500
0.315 0.000 0.500
0.315 0.315 0.500
0.685 0.000 0.500
0.685 0.685 0.500
0.000 0.500 0.000
0.183 0.366 0.000
0.183 0.817 0.000
0.366 0.183 0.000
0.500 0.000 0.000
0.500 0.500 0.000
0.634 0.817 0.000
0.817 0.183 0.000
0.817 0.634 0.000
```

- calculated volume (Å³/f.u.) = 88.3
- VASP energy (eV/atom) = -5.71
- crystal system = hexagonal
- symmetry = P6/mmm, No. 191

---

Er3GaCoS7: optimized geometry, PBE.

Structure (POSCAR):
```
Er3GaCoS7
1.0
9.478 0.000 0.000
-4.739 8.208 0.000
0.000 0.000 6.121
Er Ga Co S
6 2 2 14
direct
0.155 0.373 0.000
0.218 0.845 0.000
0.373 0.218 0.500
0.627 0.782 0.000
0.782 0.155 0.500
0.845 0.627 0.500
0.333 0.667 0.428
0.667 0.333 0.928
0.000 0.000 0.333
0.000 0.000 0.833
0.084 0.566 0.268
0.097 0.226 0.591
0.128 0.903 0.591
0.226 0.128 0.091
0.333 0.667 0.796
0.434 0.518 0.268
0.482 0.916 0.268
0.518 0.084 0.768
0.566 0.482 0.768
0.667 0.333 0.296
0.774 0.872 0.591
0.872 0.097 0.091
0.903 0.774 0.091
0.916 0.434 0.768
```

- calculated volume (Å³/f.u.) = 238.1
- VASP energy (eV/atom) = -5.85
- crystal system = hexagonal
- symmetry = P6_3, No. 173

---

Er2Co3Ge5: optimized geometry, PBE.

Structure (POSCAR):
```
Er2Co3Ge5
1.0
5.496 -5.873 0.000
5.496 5.873 0.000
-2.775 0.000 4.968
Er Co Ge
4 6 10
direct
0.091 0.373 0.232
0.373 0.091 0.732
0.627 0.909 0.268
0.909 0.627 0.768
0.044 0.761 0.380
0.239 0.956 0.120
0.497 0.503 0.250
0.503 0.497 0.750
0.761 0.044 0.880
0.956 0.239 0.620
0.009 0.991 0.750
0.238 0.419 0.826
0.274 0.726 0.750
0.287 0.713 0.250
0.419 0.238 0.326
0.581 0.762 0.674
0.713 0.287 0.750
0.726 0.274 0.250
0.762 0.581 0.174
0.991 0.009 0.250
```

- calculated volume (Å³/f.u.) = 160.4
- VASP energy (eV/atom) = -5.93
- crystal system = monoclinic
- symmetry = C2/c, No. 15

---

Er2CoGe2: optimized geometry, PBE.

Structure (POSCAR):
```
Er2CoGe2
1.0
5.193 -2.088 0.000
5.193 2.088 0.000
-4.749 0.000 8.897
Er Co Ge
4 2 4
direct
0.006 0.006 0.332
0.187 0.187 0.111
0.813 0.813 0.889
0.994 0.994 0.668
0.275 0.275 0.641
0.725 0.725 0.359
0.348 0.348 0.434
0.487 0.487 0.125
0.513 0.513 0.875
0.652 0.652 0.566
```

- calculated volume (Å³/f.u.) = 96.5
- VASP energy (eV/atom) = -5.85
- crystal system = monoclinic
- symmetry = C2/m, No. 12

---

ErCoGe: optimized geometry, PBE.

Structure (POSCAR):
```
ErCoGe
1.0
6.809 0.000 0.000
0.000 4.205 0.000
0.000 0.000 7.209
Er Co Ge
4 4 4
direct
0.008 0.250 0.198
0.492 0.750 0.698
0.508 0.250 0.302
0.992 0.750 0.802
0.167 0.750 0.427
0.333 0.250 0.927
0.667 0.750 0.073
0.833 0.250 0.573
0.200 0.250 0.599
0.300 0.750 0.099
0.700 0.250 0.901
0.800 0.750 0.401
```

- calculated volume (Å³/f.u.) = 51.6
- VASP energy (eV/atom) = -6.11
- crystal system = orthorhombic
- symmetry = Pnma, No. 62

---

ErCo4Ge2: optimized geometry, PBE.

Structure (POSCAR):
```
ErCo4Ge2
1.0
7.220 0.000 0.000
0.000 7.220 0.000
0.000 0.000 3.705
Er Co Ge
2 8 4
direct
0.000 0.000 0.000
0.500 0.500 0.500
0.082 0.354 0.500
0.146 0.582 0.000
0.354 0.082 0.500
0.418 0.854 0.000
0.582 0.146 0.000
0.646 0.918 0.500
0.854 0.418 0.000
0.918 0.646 0.500
0.221 0.779 0.500
0.279 0.279 0.000
0.721 0.721 0.000
0.779 0.221 0.500
```

- calculated volume (Å³/f.u.) = 96.6
- VASP energy (eV/atom) = -6.43
- crystal system = tetragonal
- symmetry = P4_2/mnm, No. 136

---